TPP: 50 orgs, 2.8mil people in Stop the Secrecy campaign
Over 50 organizations, 2.8 million people, and a “” bat signal can’t be wrong!

********
1.
Below is a relaxed structure of CsSr2I5, with properties calculated at the r2SCAN level.

Structure (POSCAR):
```
CsSr2I5
1.0
10.334 0.000 0.000
0.000 9.234 0.000
-0.095 0.000 14.526
Cs Sr I
4 8 20
direct
0.007 0.056 0.333
0.007 0.444 0.833
0.993 0.556 0.167
0.993 0.944 0.667
0.254 0.571 0.493
0.254 0.929 0.993
0.496 0.525 0.180
0.496 0.975 0.680
0.504 0.025 0.320
0.504 0.475 0.820
0.746 0.071 0.007
0.746 0.429 0.507
0.037 0.175 0.076
0.037 0.325 0.576
0.279 0.688 0.715
0.279 0.812 0.215
0.286 0.162 0.817
0.286 0.338 0.317
0.292 0.546 0.996
0.292 0.954 0.496
0.458 0.160 0.099
0.458 0.340 0.599
0.542 0.660 0.401
0.542 0.840 0.901
0.708 0.046 0.504
0.708 0.454 0.004
0.714 0.662 0.683
0.714 0.838 0.183
0.721 0.188 0.785
0.721 0.312 0.285
0.963 0.675 0.424
0.963 0.825 0.924
```

Properties
* size of the total moment: 0.000 μB/atom
* symmetry: P2_1/c
* DFT formation energy: -44.1 kcal/mol of atoms

2.
Below is a relaxed structure of CsTaI6, with properties calculated at the r2SCAN level.

Structure (POSCAR):
```
CsTaI6
1.0
6.920 -3.635 0.000
6.920 3.635 0.000
-2.845 0.000 13.777
Cs Ta I
2 2 12
direct
0.087 0.913 0.750
0.913 0.087 0.250
0.000 0.500 0.000
0.500 0.000 0.500
0.088 0.212 0.535
0.196 0.378 0.832
0.212 0.088 0.035
0.322 0.526 0.104
0.378 0.196 0.332
0.474 0.678 0.396
0.526 0.322 0.604
0.622 0.804 0.668
0.678 0.474 0.896
0.788 0.912 0.965
0.804 0.622 0.168
0.912 0.788 0.465
```

Properties
* size of the total moment: 0.000 μB/atom
* symmetry: C2/c
* DFT formation energy: -20.4 kcal/mol of atoms

3.
Below is a relaxed structure of Cs2TcI6, with properties calculated at the r2SCAN level.

Structure (POSCAR):
```
Cs2TcI6
1.0
0.000 5.826 5.826
5.826 0.000 5.826
5.826 5.826 0.000
Cs Tc I
2 1 6
direct
0.250 0.250 0.250
0.750 0.750 0.750
0.000 0.000 0.000
0.236 0.236 0.764
0.236 0.764 0.236
0.236 0.764 0.764
0.764 0.236 0.236
0.764 0.236 0.764
0.764 0.764 0.236
```

Properties
* size of the total moment: 0.333 μB/atom
* symmetry: Fm-3m
* DFT formation energy: -23.0 kcal/mol of atoms

4.
Below is a relaxed structure of Cs3Zr2I9, with properties calculated at the r2SCAN level.

Structure (POSCAR):
```
Cs3Zr2I9
1.0
8.445 0.000 0.000
-4.223 7.314 0.000
0.000 0.000 20.291
Cs Zr I
6 4 18
direct
0.000 0.000 0.250
0.000 0.000 0.750
0.333 0.667 0.067
0.333 0.667 0.433
0.667 0.333 0.567
0.667 0.333 0.933
0.333 0.667 0.672
0.333 0.667 0.828
0.667 0.333 0.172
0.667 0.333 0.328
0.006 0.503 0.250
0.170 0.340 0.590
0.170 0.340 0.910
0.170 0.830 0.590
0.170 0.830 0.910
0.340 0.170 0.090
0.340 0.170 0.410
0.497 0.503 0.250
0.497 0.994 0.250
0.503 0.006 0.750
0.503 0.497 0.750
0.660 0.830 0.590
0.660 0.830 0.910
0.830 0.170 0.090
0.830 0.170 0.410
0.830 0.660 0.090
0.830 0.660 0.410
0.994 0.497 0.750
```

Properties
* size of the total moment: 0.000 μB/atom
* symmetry: P6_3/mmc
* DFT formation energy: -33.0 kcal/mol of atoms

5.
Below is a relaxed structure of CsIn3, with properties calculated at the r2SCAN level.

Structure (POSCAR):
```
CsIn3
1.0
********
Together, over 50 international organizations and 2.8 million people have united behind one of the largest online campaigns in history. And, make no mistake, our call to stop the secrecy of the Trans-Pacific Partnership (TPP) is being heard loud and clear.
Between our friends at Scoop, Daily Kos, Roots Action, Fight for the Future, and Demand Progress, and our growing list of international partners, millions of people have received our “StopTheSecrecy” message in their inboxes, news websites, and TV screens. And we’re just getting started.
As you saw earlier this week, the news coming out of Tokyo reveals that the U.S. remains intent on ramming through the TPP. If passed, we know this plan would affect our democracy, jobs, health, the environment, and the Internet. Obama has now left Japan and is currently travelling through other parts of south-east Asia to twist the arms of smaller nations negotiating the TPP.
It’s clear that they have set their cross-hairs squarely on passing the TPP’s Internet censorship plan.
To push back, we need every single person possible to help ensure our hard-hitting light projection in Washington D.C. gets bigger and brighter. We need to crank up the pressure in time for Obama’s return next week – to make sure he gets a homecoming he won’t soon forget.
And, we assure you, the pressure is building.
Each day, more support is pouring in from tech companies, civil society groups, and others in the fight to stop the TPP’s secrecy. Dozens of groups have signed on since StopTheSecrecy began, with more piling on each day. Recent additions include organizations like Piwiki, the Internet Society of New York, IT for Change, the Organic Consumers Association, People Over Politics, BankACT, the Australian Fair Trade and Investment Network (AFTINET), Copyratul Roman, Doll Divine, Copyratul Roman, and Private Internet Access. And this was just in the last two days! You can see the FULL list of partners here.
Meanwhile, the response on social media has been incredible. Hundreds of thousands of new people have been welcomed into our movement to stop the TPP’s extreme secrecy. We want to thank everybody who dropped the campaign in their Facebook feed or RT’d our message of change on Twitter. Organizations like SumOfUs, Leadnow, ExposeTheTPP, Fight For the Future, Council of Canadians, Roots Action, Daily Kos, and many others have filled the Facebook and Twitter feeds of millions of concerned citizens.
And new signatures aren’t just coming from our homebase at Many of the groups who have signed on to have taken it upon themselves to host our petition on their website, including reddit, Public Services International, Progressive Democrats of America,, Firedoglake, Privacy & Access Council of Canada, People Over Politics, FlushTheTPP and others we may have missed! Click here for our easy-to-use embed code to host our petition on your website.
Obama is returning to D.C. soon. Our fight isn’t over yet. Please do everything you can to help us get the attention of the President, the media, and the army of unelected bureaucrats and lobbyists pushing the TPP forward. Whether your first issue is the Internet, jobs, the environment, access to medicine, or the health of our democracy (or all of the above), we need to do everything we can to stop the TPP’s extreme secrecy and open the process up to the public.
If you haven’t already, please sign on right now at:
If you’ve already signed, please help us get the word out to keep the pressure up. Imagine if all 2.8 million of us each took a few seconds to share this campaign with everyone they know. We’re counting on you:
• By emailing this URL:
Let’s crank up the pressure. Onwards!